Art From Ancient Times

Have you ever wondered why the ancient collections of an art museum inspire people? Generally, art is used to tell stories about civilization, places, cultures, conquest and so on. For example, most of the ancient Greek art symbolizes European civilization and historic accomplishments. However, Greek art isn’t the only important type. Ancient Roman, Egyptian, and Asian art (such as Indian and Chinese) has had a significant impact on history.

I started thinking about this when I was at a conference venue in Hobart – as they had heaps of ancient art on the walls. Maybe as we walk down this artsy memory lane, this article might inspire a new love of art in you as well?

Has Ancient Art Influenced Human Development?

It’s common for every culture to create and develop their art. As part of their culture or social lifestyle, people need to preserve their heritage. Since the Stone Age, human beings have used arts and crafts to display their history and orientation. In Africa, ancient art was used to appease the gods, display their heritage, and frighten external aggressors (enemies). Regardless of the origin, ancient art has influenced different civilizations, and it has been the take-off point for contemporary art. 

Since primitive cultures didn’t follow a specific design, the styles of ancient arts followed their respective periods of evolution. Each piece of ancient art (single or collection) was created in its unique style, and it was used by philosophers, kings, artists, thinkers, and commoners.

Materials data, kept here for reference =
-- begin --
An optimized crystal structure of AlFe2Co2, computed with PBE.

Cell lengths 3.6800, 3.6800, 18.8133 Å; angles 90.00, 90.00, 90.00 degrees
Closest atoms and distances in Å follow each position.
Space group I4/mmm (No. 139)
Inequivalent atoms, fractional coordinates:
Al  0.0000  0.0000  0.1235  8 Co 2.77-3.01, 8 Fe 2.83-2.96
Fe  0.0000  0.0000  0.3176  5 Co 2.06-2.24
Fe  0.0000  0.5000  0.0000  4 Co 2.30
Co  0.0000  0.0000  0.4270  5 Fe 2.06-2.30
Co  0.0000  0.5000  0.2500  4 Fe 2.24

Total moment: 5.8 μB/f.u.
Total energy: -6.656 eV/atom

~~~~~

Record 1
8
Lattice="4.409 0.000 0.000 0.000 4.409 0.000 2.205 2.205 3.336" Properties=species:S:1:pos:R:3 comment="AlC2N, optimized geometry, DFT PBE" crystal_system=tetragonal total_magnetization_mub_per_atom=0.00 energy_ev_per_cell=-53.7 de_polymorph_ev_per_atom=0.000 raw_formation_energy_ev_per_atom=0.9210 space_group="I-42d, No. 122" pbc="T T T"
Al 4.409 2.205 1.668
Al 0.000 0.000 0.000
C 3.307 3.672 2.502
C 5.512 5.146 2.502
C 2.941 1.102 0.834
C 1.468 3.307 0.834
N 2.205 2.205 0.000
N 2.205 4.409 1.668

---

Record 2
4
Lattice="3.130 0.000 0.000 -1.565 2.711 0.000 0.000 0.002 5.431" Properties=species:S:1:pos:R:3 comment="Al2CN, optimized geometry, DFT PBE" crystal_system=trigonal total_magnetization_mub_per_atom=0.00 energy_ev_per_cell=-26.5 de_polymorph_ev_per_atom=0.000 raw_formation_energy_ev_per_atom=-0.3733 space_group="P3m1, No. 156" pbc="T T T"
C -0.037 2.247 1.123
N 1.528 1.345 3.775
Al -0.037 2.249 3.123
Al 1.528 1.343 0.226

---

Record 3
4
Lattice="0.000 2.605 2.605 2.605 0.000 2.605 2.605 2.605 0.000" Properties=species:S:1:pos:R:3 comment="AlC2N, optimized geometry, DFT PBE" crystal_system=cubic total_magnetization_mub_per_atom=0.00 energy_ev_per_cell=-19.4 de_polymorph_ev_per_atom=1.866 raw_formation_energy_ev_per_atom=2.7872 space_group="Fm-3m, No. 225" pbc="T T T"
Al 2.605 2.605 2.605
C 3.908 3.908 3.908
C 1.303 1.303 1.303
N 0.000 0.000 0.000

---

Record 4
7
Lattice="-1.256 4.753 1.775 -3.491 0.527 -3.853 -3.692 -2.102 3.044" Properties=species:S:1:pos:R:3 comment="AlC3N3, optimized geometry, DFT PBE" crystal_system=trigonal total_magnetization_mub_per_atom=0.00 energy_ev_per_cell=-56.3 raw_formation_energy_ev_per_atom=0.0134 space_group="R3m, No. 160" pbc="T T T"
C -6.195 4.438 -0.872
C -7.663 0.306 -0.107
C -6.316 2.853 3.286
N -7.020 3.970 -0.193
N -7.945 1.366 0.289
N -7.096 2.971 2.428
Al -8.402 3.164 0.961

~~~~~

This record from Alexandria describes a geometry-optimized Ac6NdIn structure. The functional is GGA-PBE.

Cell and atoms, written as POSCAR:
```
Ac6NdIn
1.0
-2.946 0.625 4.514
-0.958 -5.340 0.114
7.064 -3.845 8.404
Nd Ac In
1 6 1
direct
0.500 0.500 0.000
0.117 0.617 0.767
0.383 0.883 0.233
0.617 0.117 0.767
0.750 0.750 0.500
0.883 0.383 0.233
0.250 0.250 0.500
0.000 0.000 0.000
```

ΔE_f: -54 kJ/mol of formula units
total magnetization: 0.0000 μB per atom

~~~~~

(1)
8
-- stop --

Greek Ancient Art is Significant in History

Before the Romans conquered the Greek, the latter had developed a rich ancient value from their arts. However, between the periods of 30,000 B.C.E. to 400 A.D, Greek arts (paintings and sculptures) were displayed in most public places of Athens. Some were nude displays of human bodies that expressed different moods, stories, and beliefs of that era. Also, most artworks of the ancient civilizations were displayed by Egyptians, Chinese, and Romans. 

Even dance steps and religious rituals were also expressed in various forms of art. According to myths and legends; the Parthenon was the temple of the Greek goddess – Athena. It’s believed that ancient Romans copied their artistic and architectural designs from this building and other Greek inspirations.

Why is Art History Important? 

Ancient art is not as colorful as contemporary designs. However, it was important for custodians of most cultures around the world to express their ideologies, and thoughts with art. In museums, arts don’t fail to evoke emotions in enthusiasts and students of history. Originally, the Greek ancient art became very popular around 450 B.C. 

After a female nude statue was sculpted by Praxiteles, many artists across Europe saw this masterpiece as a symbol of female beauty and fertility. Antique art has also contributed to the economies of most societies. Usually, ancient arts are smuggled and stolen because of their high economic values. These ancient pieces come as original antiquities that have seen many centuries and are regarded as uncommon crafts.

Art and crafts are decorative items that have been integrated into different lifestyles. Different artistic designs have been used to enhance the appeal of objects like weapons, furniture, bowls, buildings, pitchers, etc. It was the conquest of Greeks by the Roman Empire that promoted a lifestyle using arts to depict social status. During the 146BC, the statue of (Emperor) Augustus Caesar was all over Rome. A close look at this Prima Porta statue shows a similarity of facial features with ancient Greek arts.

So, one of the importance of Greek’s ancient art is the influence it has on Roman art. The symbolism, colors, and elements of ancient arts are being taught to students in universities. This aspect of humanity has brought educational development, knowledge, and inspiration to students that have chosen to be scholars in this field. Even Nazi Germany copied the same artistic materials that were used by the Greeks.

An extra tip! As I mentioned before, I was on a trip to Tasmania when I first started researching this topic. I will write more about the experiences there soon – like the amazing fine dining options in Hobart!